== Data ==
____________
# 1
{"formula": "C11H13FN2O8", "method": "ωB97M-V/def2-TZVPD", "symbols": ["C", "O", "C", "O", "C", "O", "C", "O", "C", "N", "C", "O", "N", "C", "C", "F", "C", "O", "C", "O", "C", "O", "H", "H", "H", "H", "H", "H", "H", "H", "H", "H", "H", "H", "H"], "xyz": [[0.826, -3.573, -2.449], [0.515, -2.188, -2.536], [1.372, -1.309, -1.875], [2.409, -1.701, -1.374], [0.979, 0.035, -1.438], [0.415, -0.229, -0.128], [-0.137, 0.958, 0.535], [-0.782, 0.484, 1.760], [-1.954, -0.172, 1.576], [-1.731, -1.546, 1.704], [-2.814, -2.282, 2.099], [-2.460, -3.380, 2.446], [-4.193, -1.928, 1.931], [-4.358, -0.595, 1.645], [-3.219, 0.399, 1.532], [-3.342, 1.760, 1.582], [1.078, 1.793, 1.009], [0.747, 3.092, 1.616], [1.660, 2.206, -0.257], [2.674, 3.228, -0.156], [2.180, 1.134, -1.307], [2.484, 1.753, -2.557], [1.125, -3.875, -1.462], [0.153, -4.300, -2.902], [1.788, -3.638, -2.896], [0.211, 0.469, -2.015], [-0.881, 1.502, -0.018], [-0.793, -1.957, 1.922], [-5.320, -0.014, 1.547], [1.736, 1.088, 1.569], [0.166, 2.900, 2.399], [0.903, 2.846, -0.804], [2.519, 3.851, 0.635], [3.013, 0.633, -0.920], [3.026, 2.555, -2.412]], "homo_lumo_gap_ev": 8.7, "e_homo_ev": -9.23, "e_lumo_ev": -0.511, "de_lowest_kj_mol": 232.07}

=====

# 2
{"formula": "C11H13IN", "method": "ωB97M-V/def2-TZVPD", "symbols": ["C", "C", "C", "C", "C", "C", "C", "C", "C", "C", "C", "N", "I", "H", "H", "H", "H", "H", "H", "H", "H", "H", "H", "H", "H", "H"], "xyz": [[1.410, -2.205, -1.447], [0.800, -1.345, -2.326], [2.101, -1.893, -0.285], [0.822, -0.004, -1.951], [2.169, -0.591, 0.037], [1.500, 0.405, -0.733], [-1.332, -0.081, 2.126], [-1.945, -0.362, 0.916], [-0.654, 1.269, 2.027], [-1.554, 0.785, -0.089], [1.527, 1.699, -0.503], [-0.859, 1.769, 0.684], [2.673, 2.616, 0.940], [1.467, -3.346, -1.693], [0.074, -1.692, -3.055], [2.702, -2.652, 0.167], [0.289, 0.727, -2.449], [2.633, -0.235, 0.978], [-1.231, -0.709, 2.940], [-2.548, -1.163, 0.660], [-1.078, 1.976, 2.746], [0.402, 1.042, 2.110], [-0.783, 0.326, -0.788], [-2.451, 1.073, -0.471], [1.101, 2.383, -1.198], [-1.174, 2.777, 0.624]], "charge": 1, "homo_lumo_gap_ev": 6.5, "e_homo_ev": -12.19, "e_lumo_ev": -5.659, "de_lowest_kj_mol": 206.27}

=====

# 3
{"formula": "C11H13N", "method": "ωB97M-V/def2-TZVPD", "symbols": ["C", "C", "C", "C", "N", "C", "C", "C", "C", "C", "C", "C", "H", "H", "H", "H", "H", "H", "H", "H", "H", "H", "H", "H", "H"], "xyz": [[-0.017, -2.193, -2.606], [1.283, -2.105, -1.860], [2.530, -2.085, -2.723], [1.401, -1.544, -0.553], [0.340, -0.970, 0.048], [0.526, 0.025, 0.919], [-0.534, 1.028, 1.457], [-0.101, 2.054, 2.432], [-1.125, 2.852, 3.059], [-2.441, 2.760, 2.649], [-2.709, 1.934, 1.543], [-1.831, 1.097, 0.959], [0.064, -2.951, -3.424], [-0.803, -2.472, -1.923], [-0.273, -1.223, -3.087], [2.635, -2.956, -3.441], [3.428, -2.182, -2.098], [2.637, -1.197, -3.389], [2.442, -1.566, -0.102], [1.611, 0.082, 1.174], [0.886, 2.050, 2.838], [-0.982, 3.558, 3.850], [-3.144, 3.494, 3.151], [-3.729, 1.934, 1.129], [-2.096, 0.575, -0.003]], "homo_lumo_gap_ev": 7.7, "e_homo_ev": -7.80, "e_lumo_ev": -0.112, "de_lowest_kj_mol": 245.72}


Entry 1:
{
  "formula": "C25H48I2O17S",
  "method": "ωB97M-V with the def2-TZVPD basis set",
  "elements": ["C", "C", "O", "O", "C", "C", "C", "C", "C", "S", "O", "O", "O", "C", "C", "C", "I", "C", "C", "C", "I", "H", "H", "H", "H", "H", "H", "H", "H", "H", "H", "H", "H", "H", "H", "H", "H", "H", "H", "H", "H", "H", "H", "H", "H", "C", "O", "C", "O", "O", "C", "H", "H", "H", "H", "H", "H", "C", "O", "C", "O", "O", "C", "H", "H", "H", "H", "H", "H", "C", "O", "C", "O", "O", "C", "H", "H", "H", "H", "H", "H", "C", "O", "C", "O", "O", "C", "H", "H", "H", "H", "H", "H"],
____________

== To do ==
Work out how many lines earlier on have the word "C11H13FN2O8" in them; a number is enough.

== Worked solution ==
1